Really looking forward to this. The last few KSE releases were a bit disappointing, and the Times of Grace album was decent, but not great. Kinda hoping they bring back the D4 samples for shits and giggles.

And lamb is fucking delicious.
+1 to this. Jesse kicks the shit out of Howard.

Listen to the Times of Grace CD and tell me he sucks at singing and growling :mad:

Only thing is, Jesse's vocals are like every other metalcore vocalist.
Atleast Howard was original and unique. Not in the sense that the way he sang was unique or what he sang about, but the style of his clean singing that he brought to the band. You didn't hear a lot of good singers like him and in bands like kse? wtf right?

Now, as far as lyrical content, I think Howard's weak. It seems like EoH, ADD, and Their '09 self titled are just an anthology of love songs. Not so to speak with every single song, but a vast majority of them. AOJB lyrically stands so much stronger, imo.

At the end of the day, there's something about those operatic cleans and those high screams Howard does that just make Howard a clear winner in my book. Not that Jesse can't sing good or scream because he's gotten tremendously better since AOJB, but ultimately they both brought different styles to the band. And out of personal preference, I love the vocal work Howard's done for their past 3 albums so this new KsE album will be pretty fresh.
Only thing is, Jesse's vocals are like every other metalcore vocalist.
Atleast Howard was original and unique. Not in the sense that the way he sang was unique or what he sang about, but the style of his clean singing that he brought to the band. You didn't hear a lot of good singers like him and in bands like kse? wtf right?

Now, as far as lyrical content, I think Howard's weak. It seems like EoH, ADD, and Their '09 self titled are just an anthology of love songs. Not so to speak with every single song, but a vast majority of them. AOJB lyrically stands so much stronger, imo.

At the end of the day, there's something about those operatic cleans and those high screams Howard does that just make Howard a clear winner in my book. Not that Jesse can't sing good or scream because he's gotten tremendously better since AOJB, but ultimately they both brought different styles to the band. And out of personal preference, I love the vocal work Howard's done for their past 3 albums so this new KsE album will be pretty fresh.

Jesse does not sound like every other metalcore vocalist. When you hear Jesse you know it is him. I like both Jesse and Howard and now I get to hear what KSE sound's like with Jesse on another record and I am so stoked.
Only thing is, Jesse's vocals are like every other metalcore vocalist.
Atleast Howard was original and unique. Not in the sense that the way he sang was unique or what he sang about, but the style of his clean singing that he brought to the band. You didn't hear a lot of good singers like him and in bands like kse? wtf right?

So many other bands sound similar in vocals, because they're all trying to sound like Jesse, it's not his fault that everyone wants to copy him :(

Though, I disagree. Other vocalists might try to sound like him, but when you hear Jesse's vocals, there's no mistaking him for anyone else.
So many other bands sound similar in vocals, because they're all trying to sound like Jesse, it's not his fault that everyone wants to copy him :(

Though, I disagree. Other vocalists might try to sound like him, but when you hear Jesse's vocals, there's no mistaking him for anyone else.

This. All of these other metalcore bands have been trying to sound like Jesse for years.

Inserted here: records of crystals =
-- begin --
PBE+U WO2F2, relaxed; V = 143.0 Å³ per cell; formation enthalpy at 0 K = -2483 meV per atom; electronic total energy = -6.473 eV per atom; E (MP2020) = -7.820 eV per atom
1.0
2.7414 -2.7468 0.0000
2.7414 2.7468 0.0000
0.0000 0.0000 9.4935
W O F
2 4 4
direct
0.2798 0.2798 0.2500
0.7202 0.7202 0.7500
0.7432 0.2459 0.7500
0.7541 0.2568 0.2500
0.2459 0.7432 0.7500
0.2568 0.7541 0.2500
0.2412 0.2412 0.0516
0.2412 0.2412 0.4484
0.7588 0.7588 0.5516
0.7588 0.7588 0.9484



PBE+U Li2V3SnO8, relaxed; total magnetic moment = 5.00 μB per formula unit; V = 616.4 Å³ per cell; formation enthalpy at 0 K = -2373 meV per atom; electronic total energy = -6.949 eV per atom; E (MP2020) = -7.706 eV per atom
1.0
-3.5858 0.4102 -7.7073
7.6827 -0.6249 -3.6076
-0.7398 -8.4776 -0.1070
Li V Sn O
8 12 4 32
direct
0.0037 0.0037 0.0037
0.2463 0.2463 0.2463
0.2537 0.7537 0.7463
0.4963 0.9963 0.5037
0.5037 0.4963 0.9963
0.7463 0.2537 0.7537
0.7537 0.7463 0.2537
0.9963 0.5037 0.4963
0.1118 0.1382 0.6250
0.1250 0.3882 0.8618
0.1382 0.6250 0.1118
0.3618 0.3750 0.6118
0.3750 0.6118 0.3618
0.3882 0.8618 0.1250
0.6118 0.3618 0.3750
0.6250 0.1118 0.1382
0.6382 0.8750 0.8882
0.8618 0.1250 0.3882
0.8750 0.8882 0.6382
0.8882 0.6382 0.8750
0.1250 0.8750 0.3750
0.3750 0.1250 0.8750
0.6250 0.6250 0.6250
0.8750 0.3750 0.1250
0.1036 0.1214 0.3883
0.1117 0.8964 0.6214
0.1203 0.6203 0.8797
0.1286 0.1464 0.8617
0.1214 0.3883 0.1036
0.1297 0.3703 0.6297
0.1383 0.6286 0.3536
0.1464 0.8617 0.1286
0.3536 0.1383 0.6286
0.3617 0.3714 0.8536
0.3703 0.6297 0.1297
0.3786 0.6117 0.6036
0.3714 0.8536 0.3617
0.3797 0.3797 0.3797
0.3883 0.1036 0.1214
0.3964 0.8786 0.8883
0.6036 0.3786 0.6117
0.6117 0.6036 0.3786
0.6203 0.8797 0.1203
0.6286 0.3536 0.1383
0.6214 0.1117 0.8964
0.6297 0.1297 0.3703
0.6383 0.8714 0.6464
0.6464 0.6383 0.8714
0.8536 0.3617 0.3714
0.8617 0.1286 0.1464
0.8703 0.8703 0.8703
0.8786 0.8883 0.3964
0.8714 0.6464 0.6383
0.8797 0.1203 0.6203
0.8883 0.3964 0.8786
0.8964 0.6214 0.1117



PBE+U MgV4O8, relaxed; total magnetic moment = 6.00 μB per formula unit; V = 156.1 Å³ per cell; formation enthalpy at 0 K = -2487 meV per atom; electronic total energy = -7.504 eV per atom; E (MP2020) = -8.450 eV per atom
1.0
3.9795 0.2933 0.2479
-1.4267 -3.4430 -5.2646
-0.3421 6.3023 -1.9646
Mg V O
1 4 8
direct
0.1744 0.3487 0.0176
0.2978 0.5954 0.7032
0.7166 0.4331 0.3307
0.4045 0.8087 0.2933
0.5968 0.1935 0.6901
0.3430 0.6857 0.9972
0.6446 0.2891 0.0042
0.2390 0.4777 0.3403
0.7594 0.5186 0.6460
0.4475 0.8948 0.6276
0.5675 0.1348 0.3637
0.1284 0.2566 0.7108
0.8641 0.7279 0.3065



PBE+U La7Mo7O30, relaxed; total magnetic moment = 3.00 μB per formula unit; V = 596.7 Å³ per cell; formation enthalpy at 0 K = -2849 meV per atom; electronic total energy = -7.755 eV per atom; E (MP2020) = -8.733 eV per atom
1.0
5.4931 -8.6300 0.0000
5.4931 8.6300 0.0000
-8.0652 0.0000 6.2931
La Mo O
7 7 30
direct
0.8911 0.6604 0.4668
0.4668 0.8911 0.6604
0.3396 0.5332 0.1089
0.1089 0.3396 0.5332
0.5332 0.1089 0.3396
-- stop --

I'm stoked for this album.
I'm late to the game on this one but shit, this should be great. Since Killswitch kind of pussied out as soon as Howard joined the band, I'm hoping this will be a lot more like Alive or Just Breathing. With Sneap on board, it should also sound different from Adam D's typical production, which is excellent but hasn't evolved much since 2005-6.
Can't wait to see the new work! I admit I loved Howard's voice though. He has such a unique and powerful voice that made the band stand out from the usual metalcore stuff.
As an avid Howard fan, I watched their video of their show in Germany this year with Jesse, and I'm thoroughly impressed. Jesse has gotten significantly better as a overall musician. His screams are fuller and not as brittle to my ears, and his singing has some real balls to it now. And it's on pitch and has real power live. In the show they played a few songs of ADD and the new self titled and Jesse really did it justice. He actually sounds as good if not better than Howard I'm some of his live cleans.

I'm very pumped for this album.

That said, fixation and life to lifeless, when Howard would Do them live, are my favorite killswitch songs by a mile. To me, even though Jesse fits KSE way better and they're overall a tighter more organic sounding band with him, Howard just brought something so fresh to the table. And that put him as my winner, Although EoH was by far his best album and slowly amped up his bitchness and kinda just became a big puss on the last album :/
I just hope Adam didn't lay the autotune on as heavy as with Times of Grace. I remember reading about how he pushed Jesse pretty hard on the AOJB sessions and I don't hear any obvious tuning on that record (aside from Adam tuning his own vocals).
I just hope Adam didn't lay the autotune on as heavy as with Times of Grace. I remember reading about how he pushed Jesse pretty hard on the AOJB sessions and I don't hear any obvious tuning on that record (aside from Adam tuning his own vocals).

+++
1.
! CaTaPS2O12 (PBE-GGA, relaxed); values from VASP
! Calculated density   3.13 Mg/m³
! DFT formation energy   -2559 meV/atom
&SYSTEM
  ibrav = 0, nat = 102, ntyp = 5
/
ATOMIC_SPECIES
O 16.00 O.upf
Ca 40.08 Ca.upf
P 30.97 P.upf
Ta 180.95 Ta.upf
S 32.06 S.upf
CELL_PARAMETERS angstrom
-6.315 4.888 -4.328
0.773 -8.894 -1.642
-14.745 -4.304 16.655
ATOMIC_POSITIONS angstrom
O -5.727 -0.335 4.178
O -17.486 -5.690 7.767
O -13.156 -4.204 6.850
O -9.980 -10.229 9.994
O -6.750 3.282 -2.323
O -14.787 -7.619 14.764
O -8.927 -4.456 0.252
O -17.622 -6.962 10.428
O -16.954 -2.617 12.905
O -6.220 0.248 1.883
O -11.012 -4.059 10.627
O -15.336 -6.751 11.283
O -4.790 -1.269 -0.324
O -7.064 -1.061 -2.355
O -8.601 -4.548 5.623
O -14.557 0.839 5.621
O -14.530 -7.514 6.666
O -8.778 -5.791 8.246
O -3.072 -2.347 2.689
O -6.653 -2.950 -3.799
O -13.920 -7.789 9.011
O -11.358 -1.800 2.544
O -15.780 -10.189 13.338
O -13.111 -7.695 13.007
O -4.900 1.817 -2.937
O -12.713 -0.823 4.828
O -9.916 -2.125 8.887
O -10.545 -1.673 6.575
O -9.341 -2.815 4.106
O -18.824 -3.333 10.987
O -12.914 -4.204 12.245
O -7.706 -6.917 2.555
O -9.768 -8.790 6.638
O -14.497 -9.519 11.281
O -2.716 -2.625 -0.979
O -9.613 -7.104 4.184
O -3.928 -5.452 -2.739
O -10.630 1.886 0.431
O -11.497 -5.704 5.959
O -7.234 -4.495 -1.504
O -17.097 -5.217 11.991
O -2.522 -0.618 0.489
O -11.864 -8.804 10.598
O -16.136 -3.719 7.505
O -17.145 -7.523 12.729
O -5.664 -6.379 4.532
O -19.356 -1.065 10.405
O -13.407 -4.035 9.740
O -16.896 0.452 9.904
O -11.646 -3.729 1.144
O -12.223 -1.621 8.342
O -7.439 -4.227 3.515
O -3.180 -0.344 -2.018
O -1.225 -5.796 -0.382
O -7.259 -7.316 6.123
O -4.771 -4.343 2.707
O -3.149 -8.465 1.085
O -14.581 -1.549 6.346
O -7.276 -2.557 5.303
O -10.891 2.006 3.338
O -13.599 -5.433 4.821
O -11.976 -3.598 4.809
O -4.889 -6.921 1.820
O -7.233 -2.751 0.226
O -14.955 -0.849 9.276
O -8.860 0.304 -0.524
O -14.759 -2.858 14.067
O -6.631 -4.996 0.805
O -10.013 -0.130 4.282
O -12.574 -6.162 10.739
O -5.219 -0.970 -3.940
O -6.088 1.488 -0.834
Ca -6.869 -0.550 -0.155
Ca -12.779 -3.720 14.354
Ca -2.021 -4.440 -2.011
Ca -9.430 -6.564 6.292
Ca -14.225 -2.716 8.184
Ca -11.661 3.272 1.741
P -15.057 -10.748 12.171
P -3.361 -1.315 -0.718
P -3.646 -3.610 3.581
P -14.307 -0.700 5.161
P -12.567 -4.563 10.847
P -9.234 -7.397 2.782
Ta -2.190 -0.684 2.356
Ta -9.518 -2.871 10.714
Ta -11.038 -1.703 4.528
Ta -13.551 -7.820 10.995
Ta -6.214 -5.641 2.643
Ta -18.328 -3.919 12.912
S -6.656 -1.423 -3.685
S -14.741 -8.432 7.877
S -5.571 2.486 -1.732
S -16.833 -6.686 11.602
S -12.532 -4.734 5.668
S -4.646 -8.387 1.415
S -5.876 -7.308 5.731
S -13.410 -7.326 14.474
S -8.144 -3.544 4.703
S -7.566 -4.124 -0.073
S -10.865 -1.275 8.021
S -10.661 -9.587 11.186

---

2.
! DyUTe6 (PBE-GGA, relaxed); values from VASP
! Calculated density   7.92 Mg/m³
! DFT formation energy   -1043 meV/atom
&SYSTEM
  ibrav = 0, nat = 8, ntyp = 3
/
ATOMIC_SPECIES
Dy 162.50 Dy.upf
Te 127.60 Te.upf
U 238.03 U.upf
CELL_PARAMETERS angstrom
2.189 -12.740 0.000
+++

I can't imagine Andy mixing but letting Adam autotune the vocals with shit tons of artifacts. The last couple of KSE records were terrible in that regard.
According to a friend that works in radio/has received a press copy of the album...

"It's super energetic. Howard's influence can still be heard. Lots of blast beats to kick it off. I am chucking a huge bedroom mosh"

"Lots of short, snappy songs. Making up for how bloated the last two albums were. This rules"

Yeah, I'm keen!
According to a friend that works in radio/has received a press copy of the album...

"It's super energetic. Howard's influence can still be heard. Lots of blast beats to kick it off. I am chucking a huge bedroom mosh"

"Lots of short, snappy songs. Making up for how bloated the last two albums were. This rules"

Yeah, I'm keen!

an actual copy of the finished product? Hmm. Wonder why it hasn't leaked by now (thankful it hasn't!). The first single isn't even due for another 3 weeks and the release is still a ways away in April.

If you get a chance ask him what the scream/sing ratio is and if their are any epic choruses like 'My Last Serenade'.

Also I assume they are still playing in Drop C tuning. Times of Grace was Drop D I am pretty sure just making sure they haven't switched it.

Love to hear Andy's thoughts on the new material. The Dutkiewicz + Sneap duo should make this a chart topper for sure. Gonna be hard to outsell 'The End of Heartache' though being as that was Grammy nominated.
one of my favourite albums still to this date has to be the end of heartache. I know there's a few metalcore haters around but IMO that album was and still is the bar setter in many ways.

from that description above i'm really looking forward to the new stuff. I wasn't all to impressed with the last 2 efforts but hopefully they've nailed it this time.

lets wait and see


I'm feeling like the average little girl that learns there's a new One Direction album coming, or the average metalhead that finds out there's a new Paramore album coming.

edit:^ you beat me to it haha


I'm feeling like the average little girl that learns there's a new One Direction album coming, or the average metalhead that finds out there's a new Paramore album coming.

edit:^ you beat me to it haha

Umadbro? :D

But I'm pretty darn excited. The guitar tone sounds boss, even with the bad YouTube compression. I wonder who mastered it.